Since his last cinematic appearance in 2012, Jack Reacher has been drifting. His favourite place these days seems to be walking along dilapidated roads with his thumb up looking for a ride. Either that or it’s surrounded by four or five guys trash-talking him and effectively asking for a beating. It seems to be a bit of a habit. He should stop at his age.
Starting from a cell relaxed with GGA+U, the XRD peak list of Nb3VP6O24 was computed for Cu Kα (λ = 1.5418 Å).
Neutral-atom scattering factors, no anomalous dispersion.

Structural model:
Lattice parameters (Å, degrees): 9.0483 9.0483 9.0483 58.01 58.01 58.01
Fractional positions:
Nb  0.0000  0.0000  0.0000
Nb  0.2162  0.2162  0.2162
Nb  0.7171  0.7171  0.7171
V  0.5007  0.5007  0.5007
P  0.1130  0.8214  0.3912
P  0.3265  0.6080  0.8844
P  0.3912  0.1130  0.8214
P  0.6080  0.8844  0.3265
P  0.8214  0.3912  0.1130
P  0.8844  0.3265  0.6080
O  0.0609  0.3010  0.4323
O  0.0731  0.8603  0.2247
O  0.1278  0.9988  0.3627
O  0.1491  0.7753  0.9304
O  0.2247  0.0731  0.8603
O  0.2825  0.6517  0.4122
O  0.3010  0.4323  0.0609
O  0.3448  0.5937  0.7169
O  0.3627  0.1278  0.9988
O  0.4122  0.2825  0.6517
O  0.4323  0.0609  0.3010
O  0.4946  0.6349  0.8599
O  0.5666  0.9363  0.7945
O  0.5937  0.7169  0.3448
O  0.6349  0.8599  0.4946
O  0.6517  0.4122  0.2825
O  0.7169  0.3448  0.5937
O  0.7753  0.9304  0.1491
O  0.7945  0.5666  0.9363
O  0.8603  0.2247  0.0731
O  0.8599  0.4946  0.6349
O  0.9304  0.1491  0.7753
O  0.9363  0.7945  0.5666
O  0.9988  0.3627  0.1278

Peak list (10 most intense, 2θ = 10–90°, sorted by position)
- 14.07 deg, rel. 60
- 19.64 deg, rel. 100
- 20.24 deg, rel. 64
- 23.49 deg, rel. 88
- 28.35 deg, rel. 70
- 31.39 deg, rel. 61
- 35.08 deg, rel. 25
- 35.44 deg, rel. 24
- 51.62 deg, rel. 22
- 55.41 deg, rel. 21

~~~~~

Ba6LiNb2IrCl2O12: computed powder diffractogram (Cu Kα (λ = 1.5418 Å)), based on a GGA-PBE-relaxed structure.
No peak broadening, texture or thermal motion is included.

Peak list (10 most intense, 5 to 70 degrees two-theta, low angle first)
| 2θ (°) | intensity |
| --- | --- |
| 5.69 | 1000 |
| 18.13 | 254 |
| 24.36 | 267 |
| 28.77 | 290 |
| 30.02 | 652 |
| 38.99 | 274 |
| 42.05 | 244 |
| 49.96 | 148 |
| 53.30 | 129 |
| 62.40 | 144 |

Atomic structure:
```
Ba6LiNb2IrCl2O12
1.0
5.954 0.000 0.000
-2.977 5.156 0.000
0.000 0.000 15.533
Ba Li Nb Ir Cl O
6 1 2 1 2 12
direct
0.000 0.000 0.000 Ba
0.000 0.000 0.256 Ba
0.000 0.000 0.598 Ba
0.667 0.333 0.153 Ba
0.667 0.333 0.430 Ba
0.667 0.333 0.729 Ba
0.000 0.000 0.429 Li
0.333 0.667 0.183 Nb
0.333 0.667 0.549 Nb
0.333 0.667 0.366 Ir
0.000 0.000 0.794 Cl
0.667 0.333 0.945 Cl
0.011 0.506 0.611 O
0.028 0.514 0.278 O
0.169 0.338 0.122 O
0.169 0.831 0.122 O
0.176 0.351 0.454 O
0.176 0.824 0.454 O
0.486 0.514 0.278 O
0.486 0.972 0.278 O
0.494 0.506 0.611 O
0.494 0.989 0.611 O
0.649 0.824 0.454 O
0.662 0.831 0.122 O
```



LiFeRu2: computed powder diffractogram (Cu Kα (λ = 1.5418 Å)), based on a GGA-PBE-relaxed structure.
No peak broadening, texture or thermal motion is included.

Peak list (10 most intense, 5 to 70 degrees two-theta, low angle first)
| 2θ (°) | intensity |
| --- | --- |
| 17.36 | 743 |
| 23.23 | 95 |
| 29.14 | 406 |
| 38.06 | 196 |
| 41.25 | 1000 |
| 42.54 | 902 |
| 45.06 | 251 |
| 47.49 | 329 |
| 49.40 | 577 |
| 62.41 | 90 |

Atomic structure:
```
LiFeRu2
1.0
The brainchild of author Lee Child, Jack Reacher: Never Go Back sees Tom Cruise reprise his role of Jack Reacher and reunite with director Edward Zwick, with whom he worked all those years ago on The Last Samurai. Now an ex-army major, Reacher has been filling in his civilian days performing good deeds working in tandem with Major Susan Turner (Cobie Smulders) via the phone, all the while hitchhiking around the country. They seem to be getting on, so Reacher finally arranges to meet Turner. However, instead of dinner plans, it turns out Turner has been arrested on counts of espionage. Throw into the bargain reports of a girl who may or may not be his daughter (Danika Yarosh), and this trip to Washington DC just started to smell something rotten. Of course Reacher doesn’t like being out of the loop so he’s going to find out what’s what.
Here the page breaks off for data records.
[1]
This entry pairs a crystal structure of Dy2LuAu with its computed powder XRD pattern. Radiation: λ = 1.5418 Å (Cu Kα). Structure: the PBE geometry in Alexandria.
Intensities are scaled so that the largest is 100.

Top 10 peaks for 10 to 80 degrees two-theta, by angle:
10.49°, intensity 8; 32.77°, intensity 100; 35.36°, intensity 46; 40.77°, intensity 7; 42.91°, intensity 9; 50.87°, intensity 16; 56.77°, intensity 15; 61.84°, intensity 33; 68.68°, intensity 9; 74.80°, intensity 5

Atomic structure:
```
Dy2LuAu
1.0
3.5900 0.0000 0.0000
0.0000 3.5900 0.0000
0.0000 0.0000 8.4314
Dy Lu Au
2 1 1
direct
0.0000 0.0000 0.2116
0.0000 0.0000 0.7884
0.5000 0.5000 0.5000
0.5000 0.5000 0.0000
```

---

[2]
This entry pairs a crystal structure of DyMg3Au with its computed powder XRD pattern. Radiation: λ = 1.5418 Å (Cu Kα). Structure: the PBE geometry in Alexandria.
Intensities are scaled so that the largest is 100.

Top 10 peaks for 10 to 80 degrees two-theta, by angle:
14.05°, intensity 34; 16.95°, intensity 75; 20.23°, intensity 31; 23.20°, intensity 31; 29.52°, intensity 75; 32.48°, intensity 100; 32.83°, intensity 41; 35.83°, intensity 38; 39.42°, intensity 38; 43.62°, intensity 29

Atomic structure:
```
DyMg3Au
1.0
9.3671 0.0000 0.0000
0.0000 3.9648 0.0000
0.0000 0.0000 12.6090
Dy Mg Au
4 12 4
direct
0.1717 0.2500 0.0071
0.3283 0.7500 0.5071
0.6717 0.2500 0.4929
0.8283 0.7500 0.9929
0.0562 0.2500 0.4147
0.0868 0.7500 0.2207
0.1607 0.7500 0.7876
0.3393 0.2500 0.2876
0.4132 0.2500 0.7207
0.4438 0.7500 0.9147
0.5562 0.2500 0.0853
0.5868 0.7500 0.2793
0.6607 0.7500 0.7124
0.8393 0.2500 0.2124
0.9132 0.2500 0.7793
0.9438 0.7500 0.5853
0.1463 0.2500 0.6265
0.3537 0.7500 0.1265
0.6463 0.2500 0.8735
0.8537 0.7500 0.3735
```

---

[3]
This entry pairs a crystal structure of DyMg2Au4 with its computed powder XRD pattern. Radiation: λ = 1.5418 Å (Cu Kα). Structure: the PBE geometry in Alexandria.
Intensities are scaled so that the largest is 100.

Top 10 peaks for 10 to 80 degrees two-theta, by angle:
24.80°, intensity 45; 27.42°, intensity 38; 27.64°, intensity 38; 37.30°, intensity 100; 37.47°, intensity 99; 39.32°, intensity 91; 47.05°, intensity 36; 66.13°, intensity 33; 69.86°, intensity 35; 70.18°, intensity 32

Atomic structure:
```
DyMg2Au4
1.0
0.0000 3.2532 7.1801
3.2275 0.0000 7.1801
3.2275 3.2532 0.0000
Dy Mg Au
1 2 4
direct
0.0000 0.0000 0.0000
0.2561 0.2561 0.7439
0.7439 0.7439 0.2561
0.1343 0.1343 0.3657
0.3657 0.3657 0.1343
0.6343 0.6343 0.8657
0.8657 0.8657 0.6343
```

---

[4]
This entry pairs a crystal structure of Nd2DyAu3 with its computed powder XRD pattern. Radiation: λ = 1.5418 Å (Cu Kα). Structure: the PBE geometry in Alexandria.
Intensities are scaled so that the largest is 100.

Top 10 peaks for 10 to 80 degrees two-theta, by angle:
Here the page continues.
It seems like Tom Cruise has made a bit of a revival in the last few years. It must be the Liam Neeson effect. These guys who have been around so long that it doesn’t really matter what their character’s name is. Everyone knows Liam Neeson will take no shit; whether you’re a wolf or a Russian mobster, he will find you and he will kill you. Similarly everyone knows that Cruise’s characters constitute an intense ball of muscle who really don’t know when to call time. His warning call here of “I will break your legs, I will break your arms and I will break your neck” isn’t quite as catchy, but he can still carry a shoot ‘em up pretty well. Implicit in roles like this is a reflective chuckle from the men themselves as if to say, ‘Yes, this is getting a bit silly’.
It’s precisely this self-parody that makes Jack Reacher somewhat successful. I say ‘somewhat’ successful, because it’s certainly not top-flight entertainment. However much of this is fringed with humour, you wouldn’t class it a comedy. It still takes itself seriously enough to delve admirably into Reacher’s dated gender politics and the arms trade but also seriously enough for us to lament the lack of a better villain to hold up the plot. Writers Richard Wenk, Edward Zwick and Marshall Herskovitz might have worked a little harder to give Cruise and Smulders some competition in this regard, as the villains here are surprisingly witless even by cinematic villainy standards, in terms of both aim and banter.
Nonetheless Jack Reacher is an entertaining romp. It twists, turns, sinks a few punches, slows down once in a while and has the strong presence of Cobie Smulders to thank for keeping any monotony at bay. Give it a go. It might surprise.
[Calculated crystals, kept here for reference]
The following is a simulated PXRD pattern of CuSeO3. It was derived from a structure optimized by DFT (PBE), using λ = 1.5418 Å (Cu Kα).
Intensities are scaled so that the largest is 1000.

Atomic structure:
```
data_CuSeO3
_cell_length_a 7.801
_cell_length_b 8.572
_cell_length_c 10.753
_cell_angle_alpha 90.00
_cell_angle_beta 127.43
_cell_angle_gamma 90.00
_space_group_name_H-M_alt 'P 1 21/c 1'
_space_group_IT_number 14
_space_group_name_Hall '-P 2ybc'
loop_
_atom_site_label
_atom_site_type_symbol
_atom_site_fract_x
_atom_site_fract_y
_atom_site_fract_z
Cu1 Cu 0.053 0.203 0.025
Cu2 Cu 0.292 0.100 0.883
Se1 Se 0.147 0.038 0.328
Se2 Se 0.407 0.636 0.212
O1 O 0.032 0.572 0.373
O2 O 0.038 0.057 0.661
O3 O 0.163 0.222 0.412
O4 O 0.254 0.699 0.662
O5 O 0.349 0.218 0.227
O6 O 0.461 0.579 0.392
```

Main lines, sorted by position (10 to 90 degrees two-theta):
| Position (°2θ) | I/Imax |
| --- | --- |
| 17.67 | 215 |
| 23.24 | 450 |
| 23.75 | 235 |
| 25.31 | 238 |
| 26.07 | 439 |
| 26.65 | 1000 |
| 31.85 | 553 |
| 33.51 | 523 |
| 37.92 | 337 |
| 39.23 | 354 |
| 47.57 | 243 |
| 54.85 | 266 |


Calculated powder diffractogram of Cr4Ni for a wavelength of 1.5418 Å, from a cell relaxed with GGA-PBE.
Peak positions follow from Bragg's law for the DFT cell and can differ from measured ones.

Principal peaks in the range 2θ = 10–90°, low angle first:
Position (°2θ)  intensity
45.0  100
46.6  18
64.3  6
66.8  11
81.9  6
83.0  6
83.2  11
85.3  10

Crystal structure
```
Cr4Ni
1.0
0.000 1.951 10.055
1.450 0.000 10.055
1.450 1.951 0.000
Cr Ni
4 1
direct
0.099 0.099 0.901 Cr
0.301 0.301 0.699 Cr
0.699 0.699 0.301 Cr
0.901 0.901 0.099 Cr
0.500 0.500 0.500 Ni
```
[Here the text continues]
Jack Reacher: Never Go Back is in cinemas from 20th October through Paramount Pictures.